Sveltekit Review
MÀÀntig,03 Mai, 2021

I have now finished migrated a website developed in Nodejs/Express/MySQL to sveltekit so I thought it would be a good moment to pen down some of my experiences.

If you are a bit like me you can be confused by Sapper/Svelte/Sveltekit. What are the differences?

The short version is that Sapper was designed as the svelte application framework for server side rendering.

Sapper is no longer in active development and the replacement is Sveltekit. There are some important architectural differences between the two but, from a pure end user prospective (e.g. just trying to get a blog up and running 😜) I can tell you that in Sveltekit the static website generation is not straightforward.

The best tutorial about using Sveltekit for a blog is provided by

Next to the article, the page also holds data records:
'''
Entry w
Here is a relaxed structure of LiFe2OF3 from Alexandria via LeMat-Bulk. Energies are from PBE+U.

* symmetry: Pnma, No. 62

Geometry as POSCAR:
```
LiFe2OF3
1.0
10.740 0.000 0.000
0.000 6.147 0.000
0.000 0.000 4.994
Li Fe O F
4 8 4 12
Direct
0.090 0.250 0.052
0.410 0.750 0.552
0.590 0.250 0.448
0.910 0.750 0.948
0.000 0.000 0.500
0.000 0.500 0.500
0.213 0.750 0.950
0.287 0.250 0.450
0.500 0.000 0.000
0.500 0.500 0.000
0.713 0.750 0.550
0.787 0.250 0.050
0.061 0.750 0.729
0.439 0.250 0.229
0.561 0.750 0.771
0.939 0.250 0.271
0.118 0.250 0.686
0.167 0.011 0.227
0.167 0.489 0.227
0.333 0.511 0.727
0.333 0.989 0.727
0.382 0.750 0.186
0.618 0.250 0.814
0.667 0.011 0.273
0.667 0.489 0.273
0.833 0.511 0.773
0.833 0.989 0.773
0.882 0.750 0.314
```



Entry x
Here is a relaxed structure of LiFe2OF3 from Alexandria via LeMat-Bulk. Energies are from PBE+U.

* symmetry: Pnma, No. 62

Geometry as POSCAR:
```
LiFe2OF3
1.0
10.489 0.000 0.000
0.000 6.221 0.000
0.000 0.000 5.185
Li Fe O F
4 8 4 12
Direct
0.091 0.250 0.023
0.409 0.750 0.523
0.591 0.250 0.477
0.909 0.750 0.977
0.000 0.000 0.500
0.000 0.500 0.500
0.241 0.750 0.998
0.259 0.250 0.498
0.500 0.000 0.000
0.500 0.500 0.000
0.741 0.750 0.502
0.759 0.250 0.002
0.087 0.250 0.660
0.413 0.750 0.160
0.587 0.250 0.840
0.913 0.750 0.340
0.074 0.750 0.794
0.167 0.016 0.219
0.167 0.484 0.219
0.333 0.516 0.719
0.333 0.984 0.719
0.426 0.250 0.294
0.574 0.750 0.706
0.667 0.016 0.281
0.667 0.484 0.281
0.833 0.516 0.781
0.833 0.984 0.781
0.926 0.250 0.206
```



Entry y
Here is a relaxed structure of LiFe2OF3 from Alexandria via LeMat-Bulk. Energies are from PBE+U.

* symmetry: P-1, No. 2

Geometry as POSCAR:
```
LiFe2OF3
1.0
5.182 0.000 0.000
0.034 6.060 0.000
0.030 2.964 5.355
Li Fe O F
2 4 2 6
Direct
0.027 0.328 0.333
0.973 0.672 0.667
0.000 0.000 0.000
0.500 0.000 0.500
0.500 0.500 0.000
0.500 0.500 0.500
0.336 0.670 0.669
0.664 0.330 0.331
0.212 0.649 0.179
0.214 0.168 0.164
0.222 0.161 0.649
0.778 0.839 0.351
0.786 0.832 0.836
0.788 0.351 0.821
```



Least stable: entry y

=====

## Pr4TlAu (GGA-PBE)

Data for crystalline Pr4TlAu at its relaxed geometry.

abc: 5.363 13.024 5.381
angles: 90.00 90.02 90.00
Sites, in units of the cell vectors:
Tl (0.000, 0.000, 0.000)
Tl (0.500, 0.500, 0.000)
Pr (0.500, 0.848, 0.000)
Pr (0.500, 0.152, 0.000)
Pr (0.000, 0.149, 0.500)
Pr (0.500, 0.351, 0.500)
Pr (0.000, 0.851, 0.500)
Pr (0.500, 0.649, 0.500)
Pr (0.000, 0.348, 0.000)
Pr (0.000, 0.652, 0.000)
Au (0.500, 0.000, 0.500)
Au (0.000, 0.500, 0.500)

Space group: No. 65
Distance to the lowest polymorph of the same formula: 37 meV/atom
Energy of formation: -0.33 eV per atom
Density of states at the Fermi level: 1.2270 states/eV/atom
Uncorrected energy: -4.452 eV/atom

=====

## PrTlAu4 (GGA-PBE)

Data for crystalline PrTlAu4 at its relaxed geometry.

abc: 5.714 5.714 5.714
angles: 60.00 60.00 60.00
Sites, in units of the cell vectors:
Au (0.625, 0.125, 0.625)
Au (0.625, 0.625, 0.125)
Au (0.625, 0.625, 0.625)
'''

Sveltekit exports and deploy are done though a number of adapters. If you have a very simple blog you might well be able to export it to github pages.

In my case and working with this example when you deploy on vercel there are severless functions and this is a big difference with sapper where the static export could be easily hosted anywhere.

Since Sveltekit is still in beta I am sure there might come a similar system for static website generation but, as of now, sapper is indeed more straightforward.

If you plan to host your blog on vercel, cloudflare or netlify this will not be a problem as Sveltekit provides the adapter for all of them.

Here is my quick summary to develop your app in Svelte:

  • Use Svelte + Svelte Spa router svelte spa router very good option if you don’t mind # based routes (downside, not great for SEO). I use this setup in several small app-website and all works very well. 100% client side recommended

  • Use sapper with the caveat that things might be obsolte at some point. recommended

  • Use sveltekit only if you are willing to have to re-do a lot of stuff each tiem they push a new update (the updated on the 4th May 2021 did literally break all my deployments). not recommended at this stage

  • Use Svelte and routify that offers several options including static site generation (I did not tried it but I was intrigued and heard great reviews )

Sveltekit also aims to be a serveless first framework.

I see some problems with this:

  • For a blog you don’t necessarily need the serverless function that comes automatically with the vercel/netlify adapter.

  • I did export a site using the adapter static and it works very well without the serverless function

  • Working with these adapters creates some sort of lock in with a specific provider. With a good static export functionality (like we have in Sapper) you have much more freedom

Because of the recent (4 May 2021) changes that literally broke the deployment of my projects based on the blog template above if you use it with the blog example discussed in this article don’t forget (unless you are up to fixing stuff until it reaches beta) to change package.json to freeze the packages at a certain point:

 "@sveltejs/adapter-static": "1.0.0-next.7",
 "@sveltejs/kit": "1.0.0-next.95",
 "@sveltejs/adapter-vercel": "1.0.0-next.15",

good luck!